It is believed that if the cat does not leave the house, then it does not need to be vaccinated. This is not true. The risk of catching the virus from the animal is in this case too. However, don't panic. You can get rid of parvovirus enteritis (panleukopenia) even with an unvaccinated cat, the main thing is to seek medical help in time.

The risk of contracting the virus, which in some cases leads to death, is higher in unvaccinated cats than in vaccinated ones. The fact that it is necessary to timely do all the vaccinations to animals, breeders must warn future owners. However, these words are not always given meaning. In most cases, the owners are guided by the fact that the cat is at home, does not go outside, which means that it is not necessary to vaccinate it.
Crystal structures from another source follow =
/*
# 1
Here is a relaxed structure of TaSi2Se from Alexandria. Energies are from PBE-GGA.

Calculated values
Its density of states at the Fermi level is 0.33 states/eV/atom. The value obtained for the total DFT energy (no corrections) is -26.00 eV per cell. The mass density is 6.29 g/cm³. The calculation puts the raw formation energy at 0.047 eV/atom.

Structure (POSCAR):
```
TaSi2Se
1.0
-6.713 -1.868 -6.715
-4.707 -4.270 -7.297
-6.910 -4.553 -5.016
Ta Se Si
1 1 2
Cartesian
-9.298 -5.423 -9.652
-14.253 -8.313 -14.796
-4.472 -2.608 -4.642
-17.800 -10.382 -18.479
```

=====

# 2
Here is a relaxed structure of Ho2GaSi3Pd4 from Alexandria. Energies are from PBE-GGA.

Calculated values
Its density of states at the Fermi level is 0.56 states/eV/atom. The value obtained for the total DFT energy (no corrections) is -57.93 eV per cell. The mass density is 8.61 g/cm³. The calculation puts the raw formation energy at -0.871 eV/atom.

Structure (POSCAR):
```
Ho2GaSi3Pd4
1.0
4.163 0.000 0.000
0.000 4.163 0.000
0.000 0.000 10.122
Pd Si Ga Ho
4 3 1 2
Cartesian
0.000 2.082 3.678
2.082 2.082 0.000
0.000 0.000 0.000
2.082 0.000 6.445
0.000 0.000 5.061
2.082 0.000 8.808
0.000 2.082 1.314
2.082 2.082 5.061
2.082 0.000 2.537
0.000 2.082 7.585
```

=====

# 3
Here is a relaxed structure of B2C3 from Alexandria. Energies are from PBE-GGA.

Calculated values
The formation energy is 0.40 eV per atom. The energy relative to the lowest polymorph listed for this composition comes out at 163.6 meV per atom. Its density of states at the Fermi level is 0.11 states/eV/atom. The value obtained for the total DFT energy (no corrections) is -78.06 eV per cell. The mass density is 2.94 g/cm³.

Structure (POSCAR):
```
B2C3
1.0
2.638 -1.070 3.586
4.110 -1.274 1.565
3.674 4.927 2.179
C B
6 4
Cartesian
4.781 0.675 3.414
8.902 1.582 6.323
5.641 1.907 3.916
2.547 0.200 1.835
1.521 1.000 1.007
7.875 2.382 5.495
6.835 1.329 4.844
4.347 4.527 2.709
6.076 -1.945 4.621
3.587 1.254 2.486
```

=====

# 4
Here is a relaxed structure of CuH6PdPb from Alexandria. Energies are from PBE-GGA.

Calculated values
Its density of states at the Fermi level is 0.24 states/eV/atom. The value obtained for the total DFT energy (no corrections) is -31.83 eV per cell. The mass density is 6.75 g/cm³.

Structure (POSCAR):
```
CuH6PdPb
1.0
4.727 0.002 0.000
2.365 4.094 -0.001
0.000 -0.002 4.871
H Cu Pb Pd
6 1 1 1
Cartesian
4.242 4.089 3.422
5.662 1.629 1.448
3.308 2.471 1.447
3.794 1.628 3.423
6.148 2.472 3.423
5.215 4.089 1.447
4.727 2.730 2.435
2.366 4.091 4.870
2.364 1.365 2.435
```

=====

# 5
Here is a relaxed structure of BeNi2Ir2 from Alexandria. Energies are from PBE-GGA.

Calculated values
*/
You can bring enteritis, one of the insidious diseases, on street shoes. For this reason, if there is an unvaccinated cat in the house, the owners should, upon entering the house, be sure to wash the soles of their shoes daily and remove them away from the pet. But these measures do not always save.
It is possible to understand that the animal is still ill by external signs. The cat refuses to eat and drink, does not feel well, lies more than plays. Often, ailments are accompanied by vomiting and diarrhea. If the animal shows these signs, you should immediately contact your veterinarian. It is best to call a doctor at home, because in the clinic an unvaccinated animal can pick up some other disease.
At this stage, even if the disease still exists, it is possible to cope with it. First of all, it is worth preventing dehydration, as this process develops rapidly in cats. For this, special saline solutions are used. An unvaccinated animal is additionally injected with serum, which helps to cope with the disease. In addition, general clinical and biochemical blood tests are required, in which special attention should be paid to the leukocyte count. On the lower border in cats, it is 5.5.
(Data records that have nothing to do with the entry)
........
Computed, not measured: a geometry-optimized SrTiMoO6 structure at the PBE with a Hubbard U level of DFT.

Results
Density (g cm⁻³): 4.60
Size of the total moment (μB per cell): 0.00
Raw total energy (eV per cell): -134.5

Lattice parameters (Å, degrees): 4.9520 4.9520 9.6372 90.00 90.00 90.00
Space group P4_2nm (No. 102)
Asymmetric unit:
Sr: 0.0000 0.0000 0.0000 x2
Ti: 0.0000 0.0000 0.3351 x2
Mo: 0.0000 0.0000 0.6640 x2
O: 0.1658 0.1658 0.4973 x4
O: 0.2266 0.2266 0.7904 x4
O: 0.2329 0.2329 0.1965 x4

----------

ZrCdAg2 | meta-GGA SCAN | single point on PBEsol structure

Output
* uncorrected energy: -248.01 eV/cell
* formation enthalpy at 0 K: -0.039 eV per atom

Cell and atoms, written as CIF:
```
data_ZrCdAg2
_chemical_formula_sum 'Zr2 Cd2 Ag4'
_space_group_name_H-M_alt 'A m m 2'
_space_group_IT_number 38
_cell_length_a 4.5948
_cell_length_b 2.8433
_cell_length_c 11.3687
_cell_angle_alpha 90.00
_cell_angle_beta 90.00
_cell_angle_gamma 90.00
loop_
_space_group_symop_operation_xyz
'x,y,z'
'-x,-y,z'
'-x,y,z'
'x,-y,z'
'x,y+1/2,z+1/2'
'-x,-y+1/2,z+1/2'
'-x,y+1/2,z+1/2'
'x,-y+1/2,z+1/2'
loop_
_atom_site_label
_atom_site_type_symbol
_atom_site_fract_x
_atom_site_fract_y
_atom_site_fract_z
Zr1 Zr 0.0000 0.0000 0.0000
Cd1 Cd 0.5000 0.0000 0.6529
Ag1 Ag 0.0000 0.0000 0.2575
Ag2 Ag 0.5000 0.0000 0.3931
```

***

Sr2Hg | meta-GGA SCAN | single point on PBEsol structure

Output
* uncorrected energy: -113.96 eV/cell
* formation enthalpy at 0 K: -0.416 eV per atom

Cell and atoms, written as CIF:
```
data_Sr2Hg
_chemical_formula_sum 'Sr2 Hg1'
_space_group_name_H-M_alt 'P -3 m 1'
_space_group_IT_number 164
_space_group_name_Hall '-P 3 2"'
_cell_length_a 4.4726
_cell_length_b 4.4726
_cell_length_c 7.3880
_cell_angle_alpha 90.00
_cell_angle_beta 90.00
_cell_angle_gamma 120.00
loop_
_atom_site_label
_atom_site_type_symbol
_atom_site_fract_x
_atom_site_fract_y
_atom_site_fract_z
Sr1 Sr 0.3333 0.6667 0.2609
Hg1 Hg 0.0000 0.0000 0.0000
```

----------

VASP calculation (PBE with a Hubbard U) on a geometry-optimized CsMo2RuO8 structure.

Geometry as POSCAR:
```
CsMo2RuO8
1.0
5.808 0.000 0.000
-2.904 5.030 0.000
0.000 0.000 8.280
Cs Mo Ru O
1 2 1 8
Direct
0.000 0.000 0.000 Cs
0.333 0.667 0.708 Mo
0.667 0.333 0.292 Mo
0.000 0.000 0.500 Ru
0.156 0.323 0.640 O
0.168 0.844 0.640 O
0.323 0.168 0.360 O
0.333 0.667 0.920 O
0.667 0.333 0.080 O
0.677 0.832 0.640 O
0.832 0.156 0.360 O
0.844 0.677 0.360 O
```

Output
raw total energy: -82.123 eV/cell

----------

# CsBa2U2O7 PBE optimized geometry
data_CsBa2U2O7
_symmetry_space_group_name_H-M 'P 1'
_symmetry_Int_Tables_number 1
_symmetry_space_group_name_Hall 'P 1'
_cell_length_a 4.468
_cell_length_b 4.468
_cell_length_c 11.627
_cell_angle_alpha 78.92
_cell_angle_beta 78.92
_cell_angle_gamma 90.00
loop_
_atom_site_label
_atom_site_type_symbol
_atom_site_fract_x
_atom_site_fract_y
_atom_site_fract_z
Cs1 Cs 0.000 0.000 0.000
Ba1 Ba 0.814 0.814 0.372
Ba2 Ba 0.186 0.186 0.628
U1 U 0.599 0.599 0.801
U2 U 0.401 0.401 0.199
........
If the cat's condition worsens, the veterinarian will most likely recommend leaving it in the hospital. In a clinic, the animal will receive the required amount of drugs, which are administered using droppers or injections. At this stage, an express test for parvovirus enteritis is performed. If it is positive, it makes sense to identify the virus in more detail. Results come in about 7-9 days. During this time, the animal will be treated with antibiotic immunity-supporting therapy. If necessary, parenteral nutrition will be connected. Thus, by timely seeking help from specialists, without waiting for the deterioration of the cat's condition, even an unvaccinated animal can be saved from panleukopenia.